What I’ve learned in ten years of therapy is this: Honesty and communication are two of the most essential components of eating disorder recovery. There are, inarguably, a number of additionally crucial tenets of recovery; for the sake of this entry, however, I will argue that few things offer as much consistent inner clarity as communicating openly with a therapist and, furthermore, yourself.
Many of us in recovery understand that an eating disorder thrives by encouraging the mind to turn on itself — to nourish lies about identity, appearance, and how we are perceived by others. Deception is key to the maintenance of an eating disorder. More than that, we understand that when an eating disorder is feeding off of deception, a lack of communication and openness is further compulsory to its survival. Ultimately, one’s eating disorder banks on the idea that you’ll remain an island — isolated both physically and mentally, enveloped in dishonesty. What I’ve found in my own personal experience with anorexia is that only when I opened myself to others (and to myself) was I able to fully begin the healing process.
In the beginning, being honest in therapy meant holding myself responsible for eating disorder behaviors I’d engaged in and breaking down the beliefs fostered by a brain held captive by anorexia. Accountability was key, and I worked to understand every facet of this mental illness. Ten years out, my perception of my eating disorder is relatively fully realized, and my time in therapy is now spent honing in on the root — what are the beliefs that led to an eating disorder? What’s still keeping these last bits of it around? What are the thoughts I hold now that keep me from creating meaningful relationships or regarding myself in a positive light? What recovery teaches us is that, typically, thinness is rarely the endgame, food seldom the salvation or enemy we seek. It’s in discovering and walking through these issues that underlie our eating disorders — insecurity, anger, depression, trauma — that we’re theoretically able to move from struggling to break from our eating-disordered mindset to maintaining healthy thoughts that allow us to thrive.
The darkest and most challenging moments in my recovery process were the ones in which I was most dishonest. I have spent precious time and energy deceiving therapists, family members, and myself, as those with an eating disorder are wont to do. It isn’t helpful to feel angry with yourself or to experience regret when you sort of “come to” after these moments of deception, though — there is a real feeling of captivity that is entrenched in eating disorders, and it is imperative to recognize it and to free yourself of the shame that may be associated with these moments. Moving forward is the crucial part — now that you’ve seen clearly these moments of dishonesty, what can move me forward and in the right direction? How can we break from this emotional inertia? Here is where I again pose honest communication with a professional.
Quantum chemistry results, as found in the file:
ORCA calculation (ωB97M-V with the def2-TZVPD basis set) on a 2-piece molecular cluster, CHClFO2S2 overall.

Energy above the lowest of the compared OMol25 structures with the same formula, charge and spin ... 0.00 kJ/mol
Highest occupied orbital energy ... -0.1862 Eh
HOMO-LUMO gap ... 0.301 Ha

Structure (ORCA input):
```
! RIJCOSX wB97M-V def2-TZVPD def2/J DEFGRID3
* xyz -1 1
C 1.263 0.304 -1.054
O -0.852 -0.838 -0.752
O -2.393 0.541 -2.079
F 0.877 1.487 -1.607
S 1.940 0.296 0.391
S -2.229 -0.611 -1.151
Cl -2.993 0.398 0.897
H 1.402 -0.395 -1.908
*
```

Atom charges from the natural (NBO) analysis, given in e for atoms 1 to 6: 0.164, -0.971, -0.948, -0.345, -0.044, 1.607

ORCA calculation (ωB97M-V with the def2-TZVPD basis set) on C37H31CuF9NO2P as an isolated structure.

Highest occupied orbital energy (alpha / beta) ... -0.2868 / -0.2980 Eh
HOMO-LUMO gap (alpha / beta) ... 0.287 / 0.259 Ha

Structure (ORCA input):
```
! RIJCOSX wB97M-V def2-TZVPD def2/J DEFGRID3
* xyz 0 2
Cu -0.173 1.254 1.589
C 1.979 2.435 2.945
C 2.145 1.078 2.611
C 0.982 0.333 3.055
C 0.086 1.264 3.631
C 0.741 2.575 3.568
C 0.162 3.863 4.047
C -1.070 0.937 4.530
C 0.979 -1.156 3.234
C 3.283 0.454 1.881
C 2.908 3.559 2.608
H 0.005 4.567 3.223
H 0.840 4.353 4.751
H -0.793 3.723 4.553
H -1.552 0.004 4.239
H -1.835 1.715 4.512
H -0.745 0.833 5.569
H 1.042 -1.688 2.283
H 0.077 -1.495 3.744
H 1.833 -1.466 3.842
H 2.927 -0.304 1.179
H 3.967 -0.043 2.577
H 3.855 1.187 1.313
H 2.536 4.162 1.775
H 3.894 3.191 2.327
H 3.040 4.229 3.460
O 0.157 2.609 -2.154
C -0.062 2.346 -0.980
O 0.552 1.493 -0.251
C -1.202 3.088 -0.278
C -1.921 4.071 -0.936
C -2.950 4.706 -0.263
C -3.225 4.342 1.048
C -2.461 3.349 1.633
N -1.471 2.734 0.984
H -1.657 4.298 -1.959
H -3.534 5.475 -0.753
H -4.020 4.811 1.610
H -2.644 3.024 2.650
F -1.350 -7.905 -1.512
C -2.226 -7.039 -0.968
F -2.611 -7.548 0.213
F -3.308 -7.032 -1.770
C -1.634 -5.664 -0.833
C -1.707 -4.974 0.362
C -1.162 -3.696 0.447
C -0.557 -3.102 -0.653
C -0.490 -3.817 -1.851
C -1.022 -5.087 -1.943
P 0.044 -1.370 -0.451
C -1.179 -0.551 -1.549
C -1.055 -0.417 -2.930
C -2.005 0.277 -3.658
C -3.101 0.836 -3.013
C -3.258 0.684 -1.646
C -2.295 -0.003 -0.923
C -4.088 1.622 -3.826
F -3.512 2.692 -4.407
F -4.617 0.883 -4.820
F -5.113 2.081 -3.085
C 1.610 -1.407 -1.393
C 2.451 -2.504 -1.213
C 3.726 -2.525 -1.761
C 4.167 -1.439 -2.497
C 3.342 -0.336 -2.681
C 2.073 -0.312 -2.128
C 5.542 -1.412 -3.099
F 5.495 -1.272 -4.440
F 6.264 -0.375 -2.631
F 6.239 -2.531 -2.840
H -2.176 -5.428 1.224
H -1.210 -3.158 1.387
H -0.013 -3.375 -2.718
H -0.966 -5.637 -2.875
H -0.200 -0.835 -3.445
H -1.886 0.401 -4.727
H -4.115 1.114 -1.145
H -2.406 -0.093 0.153
H 2.113 -3.361 -0.641
H 4.368 -3.383 -1.616
H 3.693 0.515 -3.251
H 1.463 0.573 -2.247
*
```

Atom charges from the Mulliken analysis, given in e for atoms 1 to 6: -0.371, 0.320, 1.383, -0.341, 1.173, 1.311

Please write out number 2 again, unchanged.
This, of course, is not as simple as I may be making it sound. First, there are the barriers surrounding what should be the simple logistics of acquiring a therapist — even if you have the means, it’s a challenge to find a therapist that’s in-network or that you may feel is the right match for you. It’s a process of trial and error, and that in and of itself can be mentally and physically draining. For those who do not have the means, you’re likely left bargaining for sliding-scale rates or may have to settle for a professional who doesn’t specialize in eating disorder treatment. Perhaps you’ve opted to forego treatment altogether. So, there is a fundamental lack of accessible resources here that creates a truly surreal logistical barrier for those without the health insurance or financial means necessary to begin therapy.
This is where those of us in privileged spaces must step up and speak out for those without the means we’ve either been born with or have worked to access. I propose donating to BIPOC therapy funds, volunteering with nonprofits and helplines that provide free mental health resources, and continuing to educate yourself on how to best elevate the voices of marginalized communities. It may not feel entirely simple, but few parts of lasting, meaningful recovery do.
Kyle Davis studied English at Fordham University in Manhattan and is currently a creative producer for the website BuzzFeed.com. He has been in recovery from anorexia for ten years, and has found great success in therapy and antidepressants. In his spare time, Kyle enjoys wandering aimlessly throughout New York, making friends, and discovering new music.